= 24 File Managers: SpaceFM

_Misplaced materials data_
A plane-wave DFT calculation with r2SCAN was carried out for a relaxed Mg3Zn crystal.

a = 3.171 Å, b = 4.836 Å, c = 5.171 Å
α = 90.00°, β = 90.00°, γ = 90.00°
Atoms (fractional coordinates):
Mg 0.000 0.000 0.000
Mg 0.000 0.500 0.354
Mg 0.500 0.000 0.515
Zn 0.500 0.500 0.850

Summary:
energy of formation from the pure elements	13	meV per atom
magnetization	0.00	μB/f.u.
raw total energy	-5.341	eV per atom
SG	No. 25
_Back to the text_

SpaceFM is a tabbed file manager for Linux using the GTK toolkit, so it fits right in on desktops like https://opensource.com/article/19/12/gnome-linux-desktop[GNOME], https://opensource.com/article/19/12/mate-linux-desktop[Mate], https://opensource.com/article/19/12/cinnamon-linux-desktop[Cinnamon], and others.
SpaceFM also features a built-in device manager system, so it's particularly good for window managers, like https://opensource.com/article/19/12/fluxbox-linux-desktop[Fluxbox] or https://opensource.com/article/19/12/fvwm-linux-desktop[fvwm], which typically don't include a graphical device manager.
If you're happy with the file managers on Linux, but you want to try one that's a little bit different in design, SpaceFM is worth a look.

== Install SpaceFM

On Linux, you're likely to find *SpaceFM* in your distribution's software repository.
On Fedora, Mageia, OpenMandriva, and similar:

$ sudo dnf install spacefm

On Debian and Debian-based systems:

-- Materials data, kept here for reference --
<<<
# r2SCAN HoSi3Rh5, relaxed
data_HoSi3Rh5
_symmetry_space_group_name_H-M 'P 63/m'
_symmetry_Int_Tables_number 176
_symmetry_space_group_name_Hall '-P 6c'
_cell_length_a 15.4816
_cell_length_b 15.4816
_cell_length_c 3.8554
_cell_angle_alpha 90.00
_cell_angle_beta 90.00
_cell_angle_gamma 120.00
loop_
_atom_site_label
_atom_site_type_symbol
_atom_site_fract_x
_atom_site_fract_y
_atom_site_fract_z
Ho1 Ho 0.1003 0.7057 0.2500
Si1 Si 0.0615 0.4318 0.2500
Si2 Si 0.1190 0.8689 0.7500
Si3 Si 0.2397 0.6812 0.7500
Rh1 Rh 0.0278 0.8878 0.2500
Rh2 Rh 0.0446 0.2704 0.2500
Rh3 Rh 0.0751 0.5384 0.7500
Rh4 Rh 0.1533 0.4140 0.7500
Rh5 Rh 0.2233 0.5706 0.2500
# Energy of formation in eV per atom: -1.031
# Volume in Å³/cell: 800.26
# E_tot in eV/atom: -21.02

***

# r2SCAN HoSiRh, relaxed
data_HoSiRh
_symmetry_space_group_name_H-M 'P n m a'
_symmetry_Int_Tables_number 62
_symmetry_space_group_name_Hall '-P 2ac 2n'
_cell_length_a 6.850
_cell_length_b 4.220
_cell_length_c 7.342
_cell_angle_alpha 90.00
_cell_angle_beta 90.00
_cell_angle_gamma 90.00
loop_
_atom_site_label
_atom_site_type_symbol
_atom_site_fract_x
_atom_site_fract_y
_atom_site_fract_z
Ho1 Ho 0.002 0.250 0.190
Si1 Si 0.204 0.250 0.605
Rh1 Rh 0.153 0.750 0.432
# Energy of formation in eV per atom: -1.135
# Volume in Å³/cell: 212.25
# E_tot in eV/atom: -23.07
>>>
-- The materials data stop here --

$ sudo apt install spacefm

Someone pasted data records at this point
~~~
[1]
Li6VSb3P6O24: relaxed, GGA+U.

abc: 8.577 8.580 8.610
angles: 65.25 65.40 64.82
Sites, in units of the cell vectors:
1 Li 0.000 0.000 0.000
2 Li 0.061 0.530 0.914
3 Li 0.344 0.169 0.740
4 Li 0.493 0.866 0.118
5 Li 0.723 0.291 0.478
6 Li 0.813 0.658 0.270
7 V 0.694 0.489 0.099
8 Sb 0.007 0.796 0.407
9 Sb 0.209 0.994 0.601
10 Sb 0.503 0.299 0.909
11 P 0.091 0.215 0.161
12 P 0.278 0.706 0.999
13 P 0.425 0.567 0.502
14 P 0.590 0.072 0.321
15 P 0.774 0.903 0.849
16 P 0.913 0.397 0.676
17 O 0.039 0.075 0.144
18 O 0.102 0.252 0.676
19 O 0.102 0.728 0.159
20 O 0.139 0.154 0.332
21 O 0.246 0.262 0.981
22 O 0.262 0.586 0.458
23 O 0.267 0.899 0.859
24 O 0.273 0.577 0.922
25 O 0.409 0.723 0.555
26 O 0.445 0.063 0.512
27 O 0.450 0.644 0.056
28 O 0.460 0.377 0.651
29 O 0.509 0.074 0.191
30 O 0.575 0.041 0.870
31 O 0.601 0.548 0.339
32 O 0.646 0.242 0.266
33 O 0.753 0.730 0.012
34 O 0.754 0.897 0.334
35 O 0.785 0.326 0.660
36 O 0.840 0.865 0.671
37 O 0.841 0.452 0.851
38 O 0.897 0.973 0.870
39 O 0.927 0.566 0.508
40 O 0.932 0.397 0.155

## Properties
As for the space-group type: No. 1. The MP2020-corrected energy comes out at -283.39 eV/cell. The calculation puts the formation enthalpy at 0 K at -2.4808 eV/atom. As for the density: 3.424 g/cm3.



[2]
Li4V2SiP2O12: relaxed, GGA+U.

abc: 8.997 9.007 14.388
angles: 71.91 71.90 60.10
Sites, in units of the cell vectors:
1 Li 0.000 0.000 0.000
2 Li 0.025 0.244 0.122
3 Li 0.118 0.561 0.610
4 Li 0.195 0.646 0.124
5 Li 0.230 0.292 0.248
6 Li 0.275 0.889 0.373
7 Li 0.359 0.988 0.863
8 Li 0.439 0.304 0.385
9 Li 0.480 0.510 0.498
10 Li 0.518 0.732 0.637
11 Li 0.620 0.048 0.126
12 Li 0.697 0.145 0.625
13 Li 0.719 0.783 0.749
14 Li 0.768 0.403 0.874
15 Li 0.870 0.489 0.361
16 Li 0.949 0.804 0.887
17 V 0.061 0.091 0.786
18 V 0.168 0.201 0.462
19 V 0.306 0.346 0.036
20 V 0.417 0.453 0.711
21 V 0.560 0.587 0.287
22 V 0.664 0.705 0.961
23 V 0.810 0.840 0.537
24 V 0.920 0.945 0.212
25 Si 0.158 0.599 0.372
26 Si 0.359 0.693 0.876
27 Si 0.408 0.146 0.624
28 Si 0.907 0.646 0.124
29 P 0.062 0.400 0.873
30 P 0.111 0.849 0.625
31 P 0.316 0.944 0.125
32 P 0.565 0.892 0.374
33 P 0.615 0.347 0.123
34 P 0.659 0.102 0.871
35 P 0.815 0.444 0.623
36 P 0.862 0.190 0.376
37 O 0.026 0.216 0.367
38 O 0.028 0.241 0.883
39 O 0.029 0.671 0.473
40 O 0.082 0.910 0.721
41 O 0.092 0.730 0.271
42 O 0.097 0.474 0.137
43 O 0.126 0.366 0.970
44 O 0.132 0.983 0.113
45 O 0.143 0.977 0.531
46 O 0.185 0.409 0.361
47 O 0.186 0.884 0.887
48 O 0.190 0.431 0.780
49 O 0.274 0.668 0.613
50 O 0.278 0.105 0.725
51 O 0.294 0.125 0.132
52 O 0.321 0.563 0.977
53 O 0.338 0.187 0.523
54 O 0.352 0.563 0.383
55 O 0.376 0.820 0.220
56 O 0.381 0.051 0.365
57 O 0.402 0.622 0.775
58 O 0.439 0.318 0.614
59 O 0.443 0.877 0.030
60 O 0.457 0.310 0.133
61 O 0.529 0.729 0.864
62 O 0.532 0.166 0.966
63 O 0.536 0.729 0.384
64 O 0.580 0.414 0.217
65 O 0.596 0.227 0.776
66 O 0.600 0.975 0.634
67 O 0.630 0.861 0.468
68 O 0.633 0.474 0.613
69 O 0.647 0.472 0.027
70 O 0.689 0.926 0.278
~~~

== Panels

I don't know why SpaceFM is called SpaceFM, but it could be because it makes a concerted effort to let you use every bit of space in its window for something useful.
By default, SpaceFM is actually pretty simple, standard-issue file manager.
It has a single panel listing your files, a toolbar, and a menu bar.

image:spacefm.webp[SpaceFM is typical in design. At first.]

All the "usual" rules apply.

* *Double-click* to open a directory or to open a file in its default application.
* *Right-click* for a contextual menu providing lots of standard options (copy, paste, rename, view properties, create a new folder, and so on).

The way SpaceFM sets itself apart, though, is its panel system.
SpaceFM displays one panel by default.
That's the big file window listing your files.
But it can have up to four panel views, plus a few bonus panels for some specific tasks.

== Opening a new panel

Instead of seeing one directory in your file manager, you can see two.
To bring up another directory in its own pane, press *Ctrl+2* or go to the *View* menu and select *Panel 2*.
Alternately, click the second green dot icon from the left in the menu panel.

With two panels, you can move files from one directory to another without opening a new file manager window, or you can browse two directories to compare their contents.

But why settle for two panels?
Maybe you'd rather see _three_ directories at once.
To bring up a third directory in a dedicated pane, press *Ctrl+3* or go to the *View* menu and select *Panel 3*.
Alternately, click the third green dot icon from the left in the menu panel.
This panel appears at the bottom of the SpaceFM window.

With three panels open, you can move files between several directories, or sort files from a common "dumping ground" (like your Desktop or Downloads folder) into specific directories.

Of course, once you've tried three panels you'll probably find yourself itching for a fourth.
To open a fourth directory in its own pane, press *Ctrl+4* or go to the *View* menu and select *Panel 4*.
Alternately, click the fourth green dot icon from the left in the menu panel.
This one opens next to Panel 3, splitting your SpaceFM window into even quarters.

image:spacefm-panels.webp[SpaceFM can have up to four panels.]

What about a _fifth_ panel?
Well, actually SpaceFM stops at four panels.
If you really do want a fifth panel, you have to open a new SpaceFM window.
However, there are still more panels, used for information other than file listings, to explore.

== Special panels

The *View* menu reveals that in addition to file panels, there are additionally task-specific panels you can choose to display.
This includes:

* *Task manager*: Lists ongoing file manager processes. This isn't a general-purpose task manager, so to set nice values or detect a zombie apocalypse of undead PIDs, https://opensource.com/life/16/2/open-source-tools-system-monitoring[htop or top] is still your utility of choice.
* *Bookmarks*: Links to common folders, such as Desktop, Documents, Downloads, and any location you want to keep handy.
* *Devices*: USB thumb drives and remote file systems.
* *File tree*: A view of your file system in order of directory inheritance.

These panels open on the left side of SpaceFM, but they do stack.
You can have bookmarks, devices, tasks, and a file tree open at once, although it helps to have a very tall SpaceFM window.

== Make space for SpaceFM

SpaceFM is a configurable multi-tasking file manager.
It maximizes the information you can build into a single window, and it lets you decide what's important, and when.
This article has focused on the panels of SpaceFM because those are, at least in my view, the most unique aspect of the application.
However, there's a lot more to SpaceFM, including plugins, preferences, a design mode, keyboard shortcuts, and customization.
This isn't a small application, even though it is a lightweight one.
Spend some time with SpaceFM, because you never know what you'll discover.